The future is always about moving forward, regardless of if whether its bright or dim – we believe in your aspirations. At BHC we accommodate your future giving you room to grow, whether its to expand your home or use your property to increase your cash flow. When we build our houses we leave...

Benefits of BHC Properties
We cater to your needs
Some like it hot, some like it cold, all shapes and sizes BHC is there for your need. BHC properties range from low cost housing to luxury doubles story units; we cover all accommodation needs and wants. Some like flats, some like town houses, some want stand-alone houses, some start big other...
Have Peace of mind
BHC is one of the oldest and most reputable organisations in the country. In today’s competitive environment, some have malicious intentions to rob you off your hard earned money. When you buy/rent property in the private market you run the risk of being defrauded by agents under false pretense...
You don’t need to do the dirty work
Positive Yield
Cash flow is about comparison between your expense and your income. We offer properties that are situated where people want to rent – renters choice. To maximize on investment and ensure return on investment where leasing out your property is an option to drive positive yield, you want to...
Excellent service and relationship building is key in our offerings
What comes next are materials data, not part of the piece =
........
Entry 1:
Below is a geometry-optimized InAgI3 structure, with properties calculated at the PBE level.

For the density of states at the Fermi level, the calculation gives 6.3 states/eV/cell. The energy relative to the elements, uncorrected comes out at -0.32 eV/atom.

The structure belongs to space group Cmc2_1 (No. 36); the cell edges are 4.484, 22.866 and 7.908 Å and the angles 90.00°, 90.00° and 90.00°. The asymmetric unit holds In at (0.000, 0.172, 0.000), Ag at (0.000, 0.398, 0.996), I at (0.000, 0.083, 0.296), I at (0.000, 0.254, 0.684) and I at (0.000, 0.411, 0.340).


Entry 2:
Below is a geometry-optimized In2AgI2 structure, with properties calculated at the PBE level.

For the density of states at the Fermi level, the calculation gives 2.2 states/eV/cell. The energy relative to the elements, uncorrected comes out at 0.00 eV/atom.

The structure belongs to space group I4/mmm (No. 139); the cell edges are 4.178, 4.178 and 18.996 Å and the angles 90.00°, 90.00° and 90.00°. The asymmetric unit holds In at (0.000, 0.500, 0.250), Ag at (0.000, 0.000, 0.000) and I at (0.000, 0.000, 0.403).


Entry 3:
Below is a geometry-optimized In2AgI8 structure, with properties calculated at the PBE level.

For the density of states at the Fermi level, the calculation gives 12.0 states/eV/cell. The energy relative to the elements, uncorrected comes out at -0.37 eV/atom.

The structure belongs to space group C2/m (No. 12); the cell edges are 13.519, 10.878 and 7.655 Å and the angles 90.00°, 91.36° and 90.00°. The asymmetric unit holds In at (0.228, 0.000, 0.336), Ag at (0.000, 0.000, 0.000), I at (0.087, 0.500, 0.786), I at (0.108, 0.186, 0.183) and I at (0.217, 0.000, 0.692).


Entry 4:
Below is a geometry-optimized InAgI structure, with properties calculated at the PBE level.

For the density of states at the Fermi level, the calculation gives 1.8 states/eV/cell. The energy relative to the elements, uncorrected comes out at -0.12 eV/atom.

The structure belongs to space group P1 (No. 1); the cell edges are 4.328, 4.329 and 12.137 Å and the angles 80.20°, 79.78° and 60.04°. The asymmetric unit holds In at (0.000, 0.000, 0.000), In at (0.093, 0.079, 0.733), Ag at (0.622, 0.627, 0.128), Ag at (0.709, 0.703, 0.879), I at (0.245, 0.255, 0.254) and I at (0.483, 0.463, 0.568).


Entry 5:
Below is a geometry-optimized In3AgI structure, with properties calculated at the PBE level.

For the density of states at the Fermi level, the calculation gives 1.6 states/eV/cell. The energy relative to the elements, uncorrected comes out at -0.04 eV/atom.

The structure belongs to space group Pm-3m (No. 221); the cell edges are 5.487, 5.487 and 5.487 Å and the angles 90.00°, 90.00° and 90.00°. The asymmetric unit holds In at (0.000, 0.000, 0.500), Ag at (0.000, 0.000, 0.000) and I at (0.500, 0.500, 0.500).


Entry 6:
Below is a geometry-optimized In2AgI8 structure, with properties calculated at the PBE level.
........
We don’t just give you a house, we offer neighborhoods
........
Below is a geometry-optimized CrPtO2F structure, with properties calculated at the PBE with a Hubbard U level.

Structure (extended XYZ):
```
5
Lattice="3.948 0.000 0.000 0.000 3.948 0.000 0.000 0.000 3.782" Properties=species:S:1:pos:R:3 pbc="T T T"
Pt 1.974 1.974 1.891
F 0.000 0.000 1.891
O 1.974 0.000 0.000
O 0.000 1.974 0.000
Cr 0.000 0.000 0.000
```

## Properties
SG   P4/mmm, No. 123
VASP energy   -28.60 eV/f.u.
........
No man is an island; It takes a village to raise a child. These are adages that BHC has taken to heart understanding that no one is meant to live alone. Botswana’s landscape is built on communities of traditional kgotlas and wards; BHC carries that in its development plan to set up neighborhoods...
Location! Location!
Our homes are located in prime areas. When you invest in property location is key. BHC properties are located in prime areas within close proximity to public amenities such clinics, schools and other local centres.
Opportunities to rent or buy?
BHC has a national footprint
City, town, villages, BHC is there. While most real estate companies centre their development in urban areas, we look at your needs. You can work in the city but everyone ends up going home, looking to live in the country side even if its on weekends. Our offices are within close proximity to...
BHC Offers fully serviced property
_Materials data, as found in the file_
A plane-wave DFT calculation with GGA-PBE was carried out for an optimized crystal structure of KCu2Ni.

Geometry as POSCAR:
```
KCu2Ni
1.0
3.4207 0.0000 0.0000
0.0000 2.7889 0.0046
0.0000 2.7688 7.3800
K Cu Ni
1 2 1
Direct
0.5000 0.2500 0.2500
0.0000 0.4131 0.5875
0.0000 0.0869 0.9125
0.5000 0.7500 0.7500
```

ΔE_f ... 0.3962 eV/atom
Spin magnetization ... 0.00 μB per cell
V ... 17.59 A^3/atom
Space-group type ... No. 47

---

A plane-wave DFT calculation with GGA-PBE was carried out for an optimized crystal structure of AlTl.

Geometry as POSCAR:
```
AlTl
1.0
-2.7460 2.5294 0.7955
0.6857 -0.4289 3.7306
4.9030 5.4106 -0.2791
Al Tl
2 2
Direct
0.2500 0.7500 0.0000
0.7500 0.2500 0.0000
0.7500 0.7500 0.6499
0.2500 0.2500 0.3501
```

ΔE_f ... 0.2336 eV/atom
Spin magnetization ... 0.00 μB per cell
V ... 26.62 A^3/atom
Space-group type ... No. 129

---

A plane-wave DFT calculation with GGA-PBE was carried out for an optimized crystal structure of BeSiSbI2.

Geometry as POSCAR:
```
BeSiSbI2
1.0
5.1246 0.0000 0.0000
0.0000 5.1246 0.0000
0.0000 0.0000 5.0748
Be Si I Sb
1 1 2 1
Direct
0.0000 0.0000 0.0000
0.5000 0.5000 0.5000
0.5000 0.0000 0.0000
0.0000 0.5000 0.0000
0.0000 0.0000 0.5000
```

Spin magnetization ... 0.00 μB per cell
V ... 26.65 A^3/atom
Space-group type ... No. 123
Uncorrected energy ... -2.589 eV/atom

---

A plane-wave DFT calculation with GGA-PBE was carried out for an optimized crystal structure of LiAl2.

Geometry as POSCAR:
```
LiAl2
1.0
-2.7572 2.1772 1.9396
-4.0799 -2.0370 -3.5131
-1.3614 -6.4794 5.3381
Al Li
8 4
Direct
0.7500 0.8653 0.2533
0.2500 0.6223 0.0837
0.2500 0.1223 0.4163
0.7500 0.3653 0.2467
0.7500 0.3777 0.9163
0.7500 0.8777 0.5837
0.2500 0.1347 0.7467
0.2500 0.6347 0.7533
0.2500 0.6168 0.4139
0.7500 0.3832 0.5861
0.7500 0.8832 0.9139
0.2500 0.1168 0.0861
```

ΔE_f ... -0.1071 eV/atom
Spin magnetization ... 0.00 μB per cell
V ... 16.37 A^3/atom
Space-group type ... No. 62

---

A plane-wave DFT calculation with GGA-PBE was carried out for an optimized crystal structure of Ba8GeS3Br4.

Geometry as POSCAR:
```
Ba8GeS3Br4
1.0
-0.4133 -8.5863 3.5794
9.4327 -0.8533 -0.9578
-3.4605 7.2065 4.7755
Br Ba S Ge
4 8 3 1
Direct
0.0000 0.0000 0.5000
0.5000 0.0000 0.0000
0.0000 0.0000 0.0000
0.5000 0.0000 0.5000
0.2595 0.2794 0.0194
0.7386 0.7159 0.4772
0.7599 0.2794 0.0194
0.2401 0.7204 0.4802
0.2401 0.7206 0.9806
0.7599 0.2796 0.5198
0.7405 0.7206 0.9806
0.2614 0.2841 0.5228
0.5000 0.5000 0.5000
0.0000 0.5000 0.5000
0.5000 0.5000 0.0000
0.0000 0.5000 0.0000
```

Spin magnetization ... 0.00 μB per cell
V ... 36.87 A^3/atom
Space-group type ... No. 166
Uncorrected energy ... -4.156 eV/atom

---

A plane-wave DFT calculation with GGA-PBE was carried out for an optimized crystal structure of PrSm3Y2Er6.

Geometry as POSCAR:
```
PrSm3Y2Er6
1.0
-4.3296 4.1026 -1.6084
-0.7530 -5.9774 -1.3665
-3.6515 -1.0280 11.1499
Y Er Sm Pr
2 6 3 1
Direct
0.3333 0.6667 0.0000
0.6667 0.3333 0.0000
0.4171 0.0838 0.2503
0.9162 0.5829 0.7497
We provide fully serviced homes/property with water, electricity, sewerage, roads, etc. Our houses are ready for occupation upon purchase or signing of the lease agreement. When investing in property its more than the four walls; Does the property have water, electricity, roads, street lights,...